
Useful Productivity Services For Founders

If you have ever founded a business, you already know that you have to wear a multitude of hats every single day. You also likely need more than 24 hours a day to get stuff done and live a balanced life.

A man and woman high-fiving in front of a laptop

Here are five tools that will help save time as well as allow you to retain some of your sanity 😜

  1. Zapier: I don't know what I would do without this service. Zapier allows you to create automation "zaps" that events in your business can trigger. For example, when a new order comes in, you can automatically reply with a license code and create the user's account in your CRM.

  2. Squarespace: When we launched All-About-PDF, we knew we didn't have the resources to build a website from scratch. Instead, we used Squarespace to create a professional website with all our requirements, such as security, e-commerce, and a blog.

  3. Stripe: What's a business if you can't accept online payments? We needed a payment platform that would handle all our payment processing, conduct all the security checks, have low fees, and pay us frequently. Stripe checked all those boxes for us and more.

The article is interrupted by materials data =
********
The following is a simulated PXRD pattern of Pm3Ho2Pb3. It was derived from a structure optimized by DFT (GGA-PBE), using Cu Kα X-rays.
Intensities are scaled so that the largest is 100.

Main lines, by angle (10 to 80 degrees two-theta):
2θ = 11.09°, d = 7.977 Å, I 12.3, (1 0 0); 2θ = 26.55°, d = 3.357 Å, I 22.4, (0 0 2); 2θ = 29.63°, d = 3.015 Å, I 25.3, (2 1 0); 2θ = 32.56°, d = 2.750 Å, I 100.0, (2 1 1); 2θ = 33.02°, d = 2.713 Å, I 75.7, (1 1 2); 2θ = 33.71°, d = 2.659 Å, I 40.1, (3 0 0); 2θ = 34.94°, d = 2.568 Å, I 14.3, (2 0 2); 2θ = 43.05°, d = 2.101 Å, I 20.9, (3 1 1); 2θ = 47.91°, d = 1.899 Å, I 14.7, (2 2 2); 2θ = 50.81°, d = 1.797 Å, I 29.0, (2 1 3); 2θ = 57.37°, d = 1.606 Å, I 12.6, (3 2 2); 2θ = 64.69°, d = 1.441 Å, I 22.4, (5 0 2)

Crystal structure
abc: 9.211 9.211 6.714
angles: 90.00 90.00 120.00
Atoms (fractional coordinates):
Pm 0.000 0.239 0.250
Pm 0.000 0.761 0.750
Pm 0.239 0.000 0.250
Pm 0.239 0.239 0.750
Pm 0.761 0.000 0.750
Pm 0.761 0.761 0.250
Ho 0.333 0.667 0.000
Ho 0.333 0.667 0.500
Ho 0.667 0.333 0.000
Ho 0.667 0.333 0.500
Pb 0.000 0.397 0.750
Pb 0.000 0.603 0.250
Pb 0.397 0.000 0.750
Pb 0.397 0.397 0.250
Pb 0.603 0.000 0.250
Pb 0.603 0.603 0.750


No. 1
Structure and simulated PXRD pattern of CsMgAsH12O10 (a crystal structure in Alexandria, relaxed with GGA-PBE; Cu Kα (λ = 1.5418 Å)).
Neutral-atom scattering factors, no anomalous dispersion.

Structure:
Cell lengths 7.2669, 7.2669, 7.2669 Å; angles 60.00, 60.00, 60.00 degrees
Positions (direct):
Cs 0.0000 0.0000 0.0000
Mg 0.2500 0.2500 0.2500
As 0.5000 0.5000 0.5000
H 0.1019 0.5110 0.5110
H 0.1019 0.5110 0.8761
H 0.1019 0.8761 0.5110
H 0.5110 0.1019 0.5110
H 0.5110 0.1019 0.8761
H 0.5110 0.5110 0.1019
H 0.5110 0.5110 0.8761
H 0.5110 0.8761 0.1019
H 0.5110 0.8761 0.5110
H 0.8761 0.1019 0.5110
H 0.8761 0.5110 0.1019
H 0.8761 0.5110 0.5110
O 0.0454 0.0454 0.4546
O 0.0454 0.4546 0.0454
O 0.0454 0.4546 0.4546
O 0.2089 0.5970 0.5970
O 0.4546 0.0454 0.0454
O 0.4546 0.0454 0.4546
O 0.4546 0.4546 0.0454
O 0.5970 0.2089 0.5970
O 0.5970 0.5970 0.2089
O 0.5970 0.5970 0.5970

The 10 most intense peaks (10° ≤ 2θ ≤ 90°), in order of rising 2θ:
17.26°, d 5.138, intensity 65; 24.50°, d 3.633, intensity 100; 30.12°, d 2.967, intensity 74; 34.92°, d 2.569, intensity 32; 39.20°, d 2.298, intensity 26; 43.12°, d 2.098, intensity 36; 50.22°, d 1.817, intensity 32; 53.50°, d 1.713, intensity 20; 56.64°, d 1.625, intensity 21; 68.30°, d 1.373, intensity 28

No. 2
Structure and simulated PXRD pattern of CsPmAgBr6 (a crystal structure in Alexandria, relaxed with GGA-PBE; Cu Kα (λ = 1.5418 Å)).
Neutral-atom scattering factors, no anomalous dispersion.

Structure:
Cell lengths 7.2405, 7.2466, 8.1360 Å; angles 92.64, 92.70, 114.93 degrees
Positions (direct):
Cs 0.0000 0.0000 0.0000
Pm 0.3385 0.6627 0.5000
Ag 0.6871 0.3155 0.4988
Br 0.0203 0.3505 0.6736
Br 0.0302 0.6047 0.2551
Br 0.3955 0.9694 0.7452
Br 0.4185 0.3616 0.2937
Br 0.6402 0.5822 0.7050
Br 0.6484 0.9805 0.3250
********

  4. Postman: Postman is an API (Application Programming Interface) platform for building and testing APIs. It allows us to extensively test the All-About-PDF API that is not only used by our apps but also by third parties. The application and service simplify each step of the API lifecycle and streamline collaboration so that we can create better APIs—faster.

  5. Grammarly: as a founder, I knew my business would be dead on arrival if we didn't create content for our blog. As an engineer, I knew blogging was not my strength. I was therefore faced with two choices; hire a content writer or get better at writing. The former was not attenable to our small startup, so I opted for the latter and enlisted the help of Grammarly. Not only does the service check and correct spelling and grammar mistakes, but it also offers helpful ways to improve the readability of your articles.

  6. Buffer: Speaking of content creation, once you have that blog post written, you need to post it to all the socials at optimal times of the day. These times vary for each social media network, so how do you know when to post? That's where Buffer comes in; it allows you to connect your social media account, add your posts, and handle the rest. You can queue up blog posts well in advance and focus on other things in your business.

  7. MailChimp: for any business, user feedback is critical for growth. MailChimp allows us to email surveys to our customers to evaluate us on how we can improve our products and services.

What other productivity services do you use to save time in your business? Leave us a comment below.

How To Work From Home Like A Badass

Working from home is usually awesome and until recently has been seen as a luxury afforded to us by our respective employers. However due to the COVID-19 pandemic, many of us have found ourselves having no choice but to work from home.

As we have learned, there is a huge difference between working from home once in a while and working from home during a pandemic. We now have to contend with getting work done while children need our attention, neighbors mow the lawn during our Zoom meetings, dogs barking etc etc.

How do we make sure that our performance is not too adversely affected by this sudden change in our work paradigm? Below are some suggestions.


Establish A Routine

The most important thing you can do to kick ass while working from home is to establish and stick to a routine. Start with setting an alarm that gets you out of bed at least an hour before you have to start working. Working from home is no excuse to wake up minutes before starting work. Shower, dress and follow almost the same routine as if you are going out to your office that way your mind gets into work mode. 

Just as important, make sure you schedule in breaks and have a stop time when you leave work for the day. It’s easy to unknowingly stay “ON” even after the work day and it is imperative to switch off notifications from work until the next day to avoid fatigue and burn out.


Working from home shouldn’t mean working from your bed or couch. Establish a designated workspace that gets your mind into work mode. Keep the space as clean as possible so that its attractive to return to. Try to keep interruptions and distraction to a minimum by either closing yourself off in your work space or by wearing noise cancelling headphones. 

Setup Daily Targets

A simple to-do list can work wonders for keeping you organized and motivated. Create a list of items that you have to accomplish by the end of the day in the order of importance and urgency. Share the list with your team and then assign a completion time to each item. When you find yourself procrastinating, revisit the list to get back on track.  Checking off those goals lets you know that you are making progress and gives you positive reinforcement throughout the day. 

Exercise In The Morning

There are many known benefits to working out in the morning. You will be more awake and alert as the body will be filled with the Cortisol hormone. 

When you exercise, oxygen and nutrients travel to your heart and lungs which results in a boost in energy to fuel you during the day. It also fills your body with endorphins (happy hormones) that can reduce stress and depression. Science!

Need one more reason to exercise in the morning? A 2019 study published in the British Journal of Sports Medicine found that physical activity improves focus and concentration, visual learning and decision-making.

Time-box Your Activities

How do you eat an elephant? One spoonful at a time!

When you are facing a big task to accomplish during your work day, it can be hard to get started as the goal appears unreachable. To overcome this feeling, break it down into smaller tasks and then set time boxes for working on each item. When the time box lapses, reward yourself with a short break and snack before returning to start another time box. Before you know it, the elephant will be completely eaten!

[1]
This entry pairs a crystal structure of BaO4 with its theoretical powder XRD pattern. Radiation: Cu Kα X-rays. Structure: a cell relaxed with PBE.
Neutral-atom scattering factors, no anomalous dispersion.

Crystal structure
Unit cell a=5.254 b=8.527 c=6.824 alpha=90.00 beta=91.87 gamma=90.00
Element x y z (fractional)
1 Ba 0.250 0.098 0.250
2 Ba 0.250 0.402 0.750
3 Ba 0.750 0.598 0.250
4 Ba 0.750 0.902 0.750
5 O 0.152 0.709 0.964
6 O 0.152 0.791 0.464
7 O 0.182 0.082 0.834
8 O 0.182 0.418 0.334
9 O 0.324 0.084 0.667
10 O 0.324 0.416 0.167
11 O 0.344 0.710 0.539
12 O 0.344 0.790 0.039
13 O 0.656 0.210 0.961
14 O 0.656 0.290 0.461
15 O 0.676 0.584 0.833
16 O 0.676 0.916 0.333
17 O 0.818 0.582 0.666
18 O 0.818 0.918 0.166
19 O 0.848 0.209 0.536
20 O 0.848 0.291 0.036

Main lines, in order of rising 2θ (15 to 90 degrees two-theta):
Position (°2θ), Rel. int.
19.86, 57.4
23.49, 72.3
24.10, 62.5
24.62, 74.5
26.13, 51.3
32.58, 50.7
33.49, 43.3
34.15, 50.1
35.93, 100.0
42.19, 35.7
44.20, 49.2
45.21, 42.8

=====

[2]
This entry pairs a crystal structure of Ba4O3 with its theoretical powder XRD pattern. Radiation: Cu Kα X-rays. Structure: a cell relaxed with PBE.
Neutral-atom scattering factors, no anomalous dispersion.

Crystal structure
Unit cell a=6.131 b=6.131 c=6.131 alpha=90.00 beta=90.00 gamma=90.00
Element x y z (fractional)
1 Ba 0.233 0.233 0.233
2 Ba 0.233 0.767 0.767
3 Ba 0.767 0.233 0.767
4 Ba 0.767 0.767 0.233
5 O 0.000 0.000 0.500
6 O 0.000 0.500 0.000
7 O 0.500 0.000 0.000

Main lines, in order of rising 2θ (15 to 90 degrees two-theta):
Position (°2θ), Rel. int.
25.16, 100.0
29.13, 40.8
35.87, 5.5
41.66, 43.4
49.29, 43.1
51.64, 10.2
60.39, 6.4
66.47, 16.1
68.43, 12.3
76.04, 12.0
81.59, 11.2
85.23, 4.3

=====

[3]
This entry pairs a crystal structure of Ba2Os2O7 with its theoretical powder XRD pattern. Radiation: Cu Kα X-rays. Structure: a cell relaxed with PBE.
Neutral-atom scattering factors, no anomalous dispersion.

Crystal structure
Unit cell a=7.636 b=7.636 c=7.636 alpha=120.46 beta=92.35 gamma=116.88
Element x y z (fractional)
1 Ba 0.000 0.000 0.000
2 Ba 0.500 0.000 0.000
3 Ba 0.500 0.000 0.500
4 Ba 0.500 0.500 0.500
5 Os 0.000 0.000 0.500
6 Os 0.000 0.500 0.000
7 Os 0.000 0.500 0.500
8 Os 0.500 0.500 0.000
9 O 0.039 0.233 0.431
10 O 0.039 0.608 0.806
11 O 0.091 0.841 0.250
12 O 0.299 0.710 0.589
13 O 0.302 0.233 0.694
14 O 0.302 0.608 0.069
15 O 0.379 0.290 0.089
16 O 0.621 0.710 0.911
17 O 0.698 0.392 0.931
18 O 0.698 0.767 0.306
19 O 0.701 0.290 0.411
20 O 0.909 0.159 0.750
21 O 0.961 0.392 0.194
22 O 0.961 0.767 0.569

Main lines, in order of rising 2θ (15 to 90 degrees two-theta):
Position (°2θ), Rel. int.
27.98, 100.0
28.98, 90.6
32.55, 55.4
33.90, 24.2
45.38, 12.8
47.71, 52.0
47.99, 13.2
54.75, 33.3
56.47, 28.2
57.11, 14.8
57.84, 13.5
77.72, 18.0

=====

[4]
This entry pairs a crystal structure of BaOs3O8 with its theoretical powder XRD pattern. Radiation: Cu Kα X-rays. Structure: a cell relaxed with PBE.
-- The crystal structures stop here --

What other methods have you found to improve your productivity during this work from home period? Hit us up on Twitter or Facebook and let us know!